### Listing
┌──
Record 1
C2H12O5 | ωB97M-V/def2-TZVPD

Last column: Mulliken charge in e.
Cartesian coordinates (Å):
C 1.802 1.905 0.812  -0.553
C 1.745 0.649 1.210  0.060
O 1.257 -0.385 0.445  -0.467
H 2.409 2.614 1.355  0.261
H 1.369 2.194 -0.137  0.088
H 2.069 0.257 2.171  0.332
H 0.394 -0.712 0.720  0.307
O -0.679 -2.747 -1.416  -0.634
H -1.164 -2.771 -2.238  0.303
H -1.014 -1.934 -0.994  0.363
O -1.135 -0.492 2.425  -0.629
H -1.808 -0.890 1.866  0.318
H -0.964 -1.047 3.186  0.304
O -1.743 -0.117 -0.568  -0.613
H -2.491 0.460 -0.720  0.267
H -0.986 0.375 -0.927  0.359
O -0.148 1.611 -2.367  -0.680
H 0.791 1.428 -2.228  0.301
H -0.148 2.468 -2.828  0.312

Output
* charge: 0
* orbital gap: 9.890 eV
* electronic energy: -12505.3127 eV
* highest occupied orbital energy: -0.3471 Eh
* spin multiplicity: 1
* SMILES: C=CO.O.O.O.O

Record 2
C2H12Si4 | ωB97M-V/def2-TZVPD

Last column: Mulliken charge in e.
Cartesian coordinates (Å):
C -1.756 1.406 -1.218  -1.208
C -0.861 0.645 1.777  -1.112
Si 3.520 -0.880 0.158  0.252
Si -1.560 -1.839 -0.150  0.101
Si 1.756 0.333 -0.431  0.257
Si -0.577 0.272 -0.078  0.342
H -1.254 1.745 -2.125  0.320
H -2.584 0.799 -1.560  0.362
H -2.179 2.182 -0.696  0.381
H -0.768 1.767 2.023  0.300
H -1.892 0.384 2.031  0.365
H 0.006 0.115 2.217  0.282
H 4.250 -0.562 1.222  -0.117
H 2.828 -2.221 0.251  -0.066
H -1.035 -3.020 0.581  -0.104
H -1.374 -2.571 -1.574  -0.083
H 1.925 1.764 -0.713  -0.145
H 1.556 -0.319 -1.716  -0.128

Output
* charge: 0
* orbital gap (alpha / beta): 6.091 / 6.884 eV
* electronic energy: -33773.9294 eV
* highest occupied orbital energy (alpha / beta): -0.2827 / -0.2976 Eh
* spin multiplicity: 1

Record 3
C2H13F3HfO5 | ωB97M-V/def2-TZVPD

Last column: Mulliken charge in e.
Cartesian coordinates (Å):
Hf 0.326 -0.340 -0.872  1.067
F 1.854 -1.285 -1.149  -0.531
F -0.453 -1.172 -2.315  -0.601
F -0.587 1.278 -0.988  -0.719
C -1.062 1.085 1.780  -1.007
C -0.026 -0.047 1.974  -0.242
O 0.657 -0.337 0.810  -0.519
H -1.497 1.402 2.728  0.441
H -1.895 0.939 1.092  0.182
H -0.644 1.986 1.329  0.229
H -0.597 -0.929 2.264  0.137
H 0.684 0.105 2.786  0.358
O 1.135 0.526 -2.297  -0.261
H 0.914 1.450 -2.415  0.304
H 1.449 0.243 -3.156  0.300
O 1.701 0.851 -0.394  -0.422
H 2.646 0.744 -0.287  0.337
H 1.547 1.784 -0.246  0.334
O -1.518 -0.473 -0.465  -0.294
H -1.950 -0.989 0.215  0.358
H -2.178 0.164 -0.738  0.329
O 0.022 -2.034 -0.059  -0.340
H -0.197 -2.889 -0.428  0.319
H -0.329 -2.060 0.831  0.242

Output
* charge: 0
* orbital gap: 8.626 eV
* electronic energy: -21976.1711 eV
* highest occupied orbital energy: -0.3070 Eh
* spin multiplicity: 1

Record 4
C2H13N2O2 | ωB97M-V/def2-TZVPD

Last column: Mulliken charge in e.
Cartesian coordinates (Å):
N -0.178 0.441 -0.515  -0.790
C 0.071 -1.021 -0.132  -1.100
C 1.348 -1.055 0.757  -0.534
N 1.499 -2.495 1.278  -0.512
H -0.271 0.940 0.383  0.564
H 0.730 0.731 -1.003  0.287
H -0.900 0.583 -1.197  0.815
H -0.935 -1.403 0.271  0.232
H 0.281 -1.650 -1.002  0.406
H 2.220 -0.772 0.202  0.215
H 1.234 -0.213 1.464  0.381
H 1.475 -3.278 0.515  0.209
H 2.048 -2.612 2.129  0.200
H -4.430 1.992 2.180  0.325
H -4.587 2.407 0.865  0.325
O -4.268 1.674 1.287  -0.695
H 2.272 1.959 -2.141  0.357
H 1.076 1.977 -3.098  0.505
O 1.314 1.797 -2.244  -1.192

Output
* charge: 0
* ⟨S²⟩: 0.7505
* orbital gap (alpha / beta): 3.862 / 10.051 eV
* electronic energy: -9355.5503 eV
* highest occupied orbital energy (alpha / beta): -0.1065 / -0.3415 Eh
* spin multiplicity: 2

Record 5
C2H13N2O3 | ωB97M-V/def2-TZVPD

Last column: Mulliken charge in e.
Cartesian coordinates (Å):
C 1.271 1.234 0.968  -0.762
N 0.882 -0.189 1.080  0.082
C 1.471 -1.040 0.051  -0.400
N 1.188 -0.543 -1.306  -0.259
H 0.575 1.826 1.673  0.346
H 1.350 1.642 -0.029  0.380
H 2.312 1.351 1.401  0.356
H -0.283 -0.141 1.172  0.363
H 1.076 -2.040 0.174  0.359
H 2.586 -1.061 0.139  0.399
H 1.713 -0.887 -2.027  0.265
H -1.483 1.206 -0.079  0.398
H -2.656 0.175 1.455  0.195
O -1.869 0.083 0.910  -0.782
H -2.312 -2.296 -1.191  0.342
└──

### Activity
Transcribe every line further up that contains the word "C2H13N2O2", please.

### Reply
C2H13N2O2 | ωB97M-V/def2-TZVPD